Status Quo Of Gridlock

_Calculated crystals from another source follow_
-- begin --
1.
A relaxed structure of Sc6P3C, computed with GGA-PBE.

Cell: 6.0214 6.8625 8.8210 Å, 90.00 88.23 90.00°
Fractional positions:
Sc 0.6854 0.1666 0.9418
Sc 0.6525 0.2010 0.5639
Sc 0.6485 0.4507 0.2636
Sc 0.3515 0.5493 0.7364
Sc 0.3475 0.7990 0.4361
Sc 0.3146 0.8334 0.0582
Sc 0.1854 0.3334 0.4418
Sc 0.1525 0.2990 0.0639
Sc 0.1485 0.0493 0.7636
Sc 0.8515 0.9507 0.2364
Sc 0.8475 0.7010 0.9361
Sc 0.8146 0.6666 0.5582
P 0.5467 0.8907 0.7554
P 0.5000 0.5000 0.0000
P 0.4533 0.1093 0.2446
P 0.0467 0.6093 0.2554
P 0.0000 0.0000 0.5000
P 0.9533 0.3907 0.7446
C 0.5000 0.5000 0.5000
C 0.0000 0.0000 0.0000

=====

2.
A relaxed structure of BiRu2O8, computed with GGA-PBE.

Properties
E_form (uncorrected) = -508 meV per atom

Cell: 3.8164 5.6927 5.6927 Å, 112.29 94.08 94.08°
Fractional positions:
Bi 0.5000 0.0000 0.0000
Ru 0.0000 0.3261 0.6739
Ru 0.0000 0.6739 0.3261
O 0.9546 0.9571 0.6780
O 0.9546 0.6780 0.9571
O 0.2692 0.5940 0.5940
O 0.5000 0.7367 0.2633
O 0.5000 0.2633 0.7367
O 0.7308 0.4060 0.4060
O 0.0454 0.3220 0.0429
O 0.0454 0.0429 0.3220

=====

3.
A relaxed structure of Zr2Zn6Cu3, computed with GGA-PBE.

Cell: 4.0232 7.1137 7.1137 Å, 120.00 90.00 90.00°
Fractional positions:
Zr 0.0000 0.6667 0.3333
Zr 0.0000 0.3333 0.6667
Zn 0.5000 0.7310 0.7310
Zn 0.5000 0.0000 0.2690
Zn 0.0000 0.2084 0.2084
Zn 0.0000 0.7916 0.0000
Zn 0.5000 0.2690 0.0000
Zn 0.0000 0.0000 0.7916
Cu 0.5000 0.4012 0.4012
Cu 0.5000 0.5988 0.0000
Cu 0.5000 0.0000 0.5988

=====

4.
A relaxed structure of KCuBr2, computed with GGA-PBE.

Properties
E_form (uncorrected) = -965 meV per atom

Cell: 6.1378 5.7155 7.3006 Å, 90.00 112.88 90.00°
Fractional positions:
K 0.0000 0.0000 0.5000
K 0.5000 0.5000 0.5000
Cu 0.5000 0.2750 0.0000
Cu 0.5000 0.7250 0.0000
Br 0.6115 0.0000 0.7805
Br 0.3885 0.0000 0.2195
Br 0.8502 0.5000 0.2238
Br 0.1498 0.5000 0.7762

=====

Q: Which volume values were calculated for the entries above? A: 18.2, 10.3, 16.0, 29.5, in A^3/atom.
Q: Which energy values were calculated for the entries above? A: -7.39, -6.15, -3.44, -3.10, in eV per atom.

=====

Record 1
# PBE Ba3NbSb, optimized geometry
# - formation energy (no corrections) (eV per atom) = 0.462
# - offset from the most stable computed form (meV per atom) = 0
# - V (Å³ per cell) = 205.4
# - M_tot (μB per formula unit) = 0.540
data_Ba3NbSb
_chemical_formula_sum 'Ba3 Nb1 Sb1'
_space_group_name_H-M_alt 'P m -3 m'
_space_group_IT_number 221
_space_group_name_Hall '-P 4 2 3'
_cell_length_a 5.9005
_cell_length_b 5.9005
_cell_length_c 5.9005
_cell_angle_alpha 90.00
_cell_angle_beta 90.00
_cell_angle_gamma 90.00
loop_
_atom_site_label
_atom_site_fract_x
_atom_site_fract_y
_atom_site_fract_z
_atom_site_occupancy
Ba1 0.0000 0.0000 0.5000 1
Nb1 0.0000 0.0000 0.0000 1
Sb1 0.5000 0.5000 0.5000 1



Record 2
# PBE Pa2AsPt, optimized geometry
# - offset from the most stable computed form (meV per atom) = 548
# - V (Å³ per cell) = 279.7
# - M_tot (μB per formula unit) = 0.000
data_Pa2AsPt
_chemical_formula_sum 'Pa6 As3 Pt3'
-- stop --

To the Editor:

In the March 22, 2012 article entitled “Hyland Calls For Meal Tax,” the supervisor correctly notes that money is needed for schools and roads. Fairfax County cannot continue to rely only upon the real-estate tax for revenue. The Mount Vernon Visioning Task Force, Transportation Committee, recommended that Fairfax County adopt and impose the transportation impact fee that the Virginia Assembly authorized in 1989.

Over 20 years ago, the Virginia Assembly authorized Fairfax County “to assess and impose impact fees on new development to pay all or part of the cost of reasonable road improvement that benefit the new development” (Va. Code Section 15.2-2319). However, Fairfax County elected officials chose not to adopt a zoning ordinance that would allow the collection of reasonable costs for much needed road improvements that would benefit a new development.

The inaction of the Board of Supervisors in the early 1990s has left us with the legacy of congestion on US Route 1 in the Mount Vernon District and other main roads in Fairfax County. The County continues to allow development, such as the Wal-Mart at Kings Crossing, without any new transportation infrastructure. This extends to Phase II of Wal-Mart at Kings Crossing where the already gridlocked area will receive more stores and more traffic without the developer contributing toward the needed extended or dual dedicated left turn lane(s) at that location.

Over 26 states, as of Feb. 26, 2011 (when I researched this matter), have laws that assess transportation fees to developers. In Virginia, Stafford County agreed with the conclusion reached by Virginia Tech: it would bring in revenue for needed transportation infrastructure. US Route 1 in Stafford County transformed from a two-lane country road to an expressway with a boulevard in between the north and south travel lanes using the revenue brought in under the Transportation Impact Fee. Stafford County also assesses developers using the proffer system for schools and other non-transportation items, and Stafford County receives more than double the amount in proffers per additional dwelling than Fairfax County does for its re-zoned developments.

Elected officials, businesses and residents are either part of the solution or part of the problem. Doing nothing does not contribute to our revenue needs and leads to the continuation of the status quo, such as creating more gridlock due to development without transportation improvements.

Catherine M. Voorhees